What to do:
Now print everything further down exactly.
Listing:
<<<
# 1
A geometry-optimized TaFeP structure. Source: Alexandria via LeMat-Bulk, functional PBE-GGA.

Results
SG   P-6m2
Magnetization   0.0 Bohr magnetons per cell
DFT formation energy   -543 meV per atom

a b c (Å): 3.923 3.923 2.936
angles (deg): 90.00 90.00 120.00
Atoms (fractional coordinates):
Fe (0.000, 0.000, 0.167)
P (0.333, 0.667, 0.167)
Ta (0.667, 0.333, 0.666)


# 2
A geometry-optimized Pm3Th structure. Source: Alexandria via LeMat-Bulk, functional PBE-GGA.

Results
SG   Imm2
Magnetization   0.0 Bohr magnetons per cell
DFT formation energy   67 meV per atom
Relative energy among the computed polymorphs   0.038 eV/atom

a b c (Å): 3.620 6.311 6.974
angles (deg): 116.90 105.04 90.00
Atoms (fractional coordinates):
Th (0.000, 0.998, 0.000)
Pm (0.252, 0.583, 0.504)
Pm (0.500, 0.507, 0.000)
Pm (0.748, 0.079, 0.496)


# 3
A geometry-optimized Ce2SmRuN4 structure. Source: Alexandria via LeMat-Bulk, functional PBE-GGA.

Results
SG   Cmcm
Magnetization   0.0 Bohr magnetons per cell
Raw formation energy   -1.043 eV per atom

a b c (Å): 3.430 6.183 11.673
angles (deg): 90.00 90.00 106.10
Atoms (fractional coordinates):
Ce (0.369, 0.738, 0.551)
Ce (0.631, 0.262, 0.051)
Ce (0.631, 0.262, 0.449)
Ce (0.369, 0.738, 0.949)
Sm (0.114, 0.228, 0.750)
Sm (0.886, 0.772, 0.250)
Ru (0.854, 0.707, 0.750)
Ru (0.146, 0.293, 0.250)
N (0.272, 0.544, 0.125)
N (0.728, 0.456, 0.625)
N (0.728, 0.456, 0.875)
N (0.272, 0.544, 0.375)
N (0.000, 0.000, 0.500)
N (0.000, 0.000, 0.000)
N (0.458, 0.916, 0.750)
N (0.542, 0.084, 0.250)


# 4
A geometry-optimized TiI2F structure. Source: Alexandria via LeMat-Bulk, functional PBE-GGA.

Results
SG   I-42d
Magnetization   2.0 Bohr magnetons per cell
Raw formation energy   -0.692 eV per atom
Relative energy among the computed polymorphs   0.000 eV/atom

a b c (Å): 6.887 6.887 7.118
angles (deg): 61.07 61.07 90.00
Site moments in Bohr magnetons follow the coordinates.
Atoms (fractional coordinates):
I (0.647, 0.125, 0.250)  -0.07
I (0.103, 0.625, 0.250)  -0.06
I (0.375, 0.353, 0.750)  -0.07
I (0.875, 0.897, 0.750)  -0.07
F (0.500, 0.500, 0.000)  -0.07
F (0.250, 0.750, 0.500)  -0.07
Ti (0.000, 0.000, 0.000)  1.05
Ti (0.750, 0.250, 0.500)  1.05


Which formula does entry 2 have? Pm3Th

~~~~~

# 1
This record from the Alexandria database describes Pm12YEr6 after structural relaxation. The functional is PBE-GGA.

Output
energy relative to the elements = 138 meV/atom
final energy = -4.64 eV/atom
crystal system = trigonal
offset from the most stable computed form = 0.0 kJ per mole of atoms
DOS at the Fermi energy = 33.0 states/eV/f.u.

Cell lengths 8.6330, 8.6330, 8.6330 Å; angles 88.87, 88.87, 88.87 degrees
Fractional positions:
Pm (0.4328, 0.7801, 0.5377)
Pm (0.7801, 0.5377, 0.4328)
Pm (0.5672, 0.2199, 0.4623)
Pm (0.9837, 0.8043, 0.6374)
Pm (0.2199, 0.4623, 0.5672)
Pm (0.4623, 0.5672, 0.2199)
Pm (0.0163, 0.1957, 0.3626)
Pm (0.5377, 0.4328, 0.7801)
Pm (0.1957, 0.3626, 0.0163)
Pm (0.8043, 0.6374, 0.9837)
Pm (0.6374, 0.9837, 0.8043)
Pm (0.3626, 0.0163, 0.1957)
Er (0.7012, 0.2595, 0.0989)
Er (0.9011, 0.2988, 0.7405)
Er (0.2595, 0.0989, 0.7012)
Er (0.7405, 0.9011, 0.2988)
Er (0.2988, 0.7405, 0.9011)
Er (0.0989, 0.7012, 0.2595)
Y (0.0000, 0.0000, 0.0000)



# 2
This record from the Alexandria database describes Pm3Y3Er5 after structural relaxation. The functional is PBE-GGA.

Output
energy relative to the elements = 785 meV/atom
final energy = -4.35 eV/atom
crystal system = hexagonal
DOS at the Fermi energy = 16.8 states/eV/f.u.

Cell lengths 5.6340, 9.6409, 9.6409 Å; angles 120.00, 90.00, 90.00 degrees
Fractional positions:
Y (0.5000, 0.0000, 0.2699)
Y (0.5000, 0.7301, 0.7301)
Y (0.5000, 0.2699, 0.0000)
Pm (0.0000, 0.4699, 0.0000)
Pm (0.0000, 0.5301, 0.5301)
Pm (0.0000, 0.0000, 0.4699)
Er (0.5000, 0.6263, 0.0000)
Er (0.5000, 0.3333, 0.6667)
Er (0.5000, 0.0000, 0.6263)
Er (0.5000, 0.3737, 0.3737)
Er (0.5000, 0.6667, 0.3333)



What did the first record say?
>>>
Here it is:
# 1
A geometry-optimized TaFeP structure. Source: Alexandria via LeMat-Bulk, functional PBE-GGA.

Results
SG   P-6m2
Magnetization   0.0 Bohr magnetons per cell
DFT formation energy   -543 meV per atom

a b c (Å): 3.923 3.923 2.936
angles (deg): 90.00 90.00 120.00
Atoms (fractional coordinates):
Fe (0.000, 0.000, 0.167)
P (0.333, 0.667, 0.167)
Ta (0.667, 0.333, 0.666)


# 2
A geometry-optimized Pm3Th structure. Source: Alexandria via LeMat-Bulk, functional PBE-GGA.

Results
SG   Imm2
Magnetization   0.0 Bohr magnetons per cell
DFT formation energy   67 meV per atom
Relative energy among the computed polymorphs   0.038 eV/atom

a b c (Å): 3.620 6.311 6.974
angles (deg): 116.90 105.04 90.00
Atoms (fractional coordinates):
Th (0.000, 0.998, 0.000)
Pm (0.252, 0.583, 0.504)
Pm (0.500, 0.507, 0.000)
Pm (0.748, 0.079, 0.496)


# 3
A geometry-optimized Ce2SmRuN4 structure. Source: Alexandria via LeMat-Bulk, functional PBE-GGA.

Results
SG   Cmcm
Magnetization   0.0 Bohr magnetons per cell
Raw formation energy   -1.043 eV per atom

a b c (Å): 3.430 6.183 11.673
angles (deg): 90.00 90.00 106.10
Atoms (fractional coordinates):
Ce (0.369, 0.738, 0.551)
Ce (0.631, 0.262, 0.051)
Ce (0.631, 0.262, 0.449)
Ce (0.369, 0.738, 0.949)
Sm (0.114, 0.228, 0.750)
Sm (0.886, 0.772, 0.250)
Ru (0.854, 0.707, 0.750)
Ru (0.146, 0.293, 0.250)
N (0.272, 0.544, 0.125)
N (0.728, 0.456, 0.625)
N (0.728, 0.456, 0.875)
N (0.272, 0.544, 0.375)
N (0.000, 0.000, 0.500)
N (0.000, 0.000, 0.000)
N (0.458, 0.916, 0.750)
N (0.542, 0.084, 0.250)


# 4
A geometry-optimized TiI2F structure. Source: Alexandria via LeMat-Bulk, functional PBE-GGA.

Results
SG   I-42d
Magnetization   2.0 Bohr magnetons per cell
Raw formation energy   -0.692 eV per atom
Relative energy among the computed polymorphs   0.000 eV/atom

a b c (Å): 6.887 6.887 7.118
angles (deg): 61.07 61.07 90.00
Site moments in Bohr magnetons follow the coordinates.
Atoms (fractional coordinates):
I (0.647, 0.125, 0.250)  -0.07
I (0.103, 0.625, 0.250)  -0.06
I (0.375, 0.353, 0.750)  -0.07
I (0.875, 0.897, 0.750)  -0.07
F (0.500, 0.500, 0.000)  -0.07
F (0.250, 0.750, 0.500)  -0.07
Ti (0.000, 0.000, 0.000)  1.05
Ti (0.750, 0.250, 0.500)  1.05


Which formula does entry 2 have? Pm3Th

~~~~~

# 1
This record from the Alexandria database describes Pm12YEr6 after structural relaxation. The functional is PBE-GGA.

Output
energy relative to the elements = 138 meV/atom
final energy = -4.64 eV/atom
crystal system = trigonal
offset from the most stable computed form = 0.0 kJ per mole of atoms
DOS at the Fermi energy = 33.0 states/eV/f.u.

Cell lengths 8.6330, 8.6330, 8.6330 Å; angles 88.87, 88.87, 88.87 degrees
Fractional positions:
Pm (0.4328, 0.7801, 0.5377)
Pm (0.7801, 0.5377, 0.4328)
Pm (0.5672, 0.2199, 0.4623)
Pm (0.9837, 0.8043, 0.6374)
Pm (0.2199, 0.4623, 0.5672)
Pm (0.4623, 0.5672, 0.2199)
Pm (0.0163, 0.1957, 0.3626)
Pm (0.5377, 0.4328, 0.7801)
Pm (0.1957, 0.3626, 0.0163)
Pm (0.8043, 0.6374, 0.9837)
Pm (0.6374, 0.9837, 0.8043)
Pm (0.3626, 0.0163, 0.1957)
Er (0.7012, 0.2595, 0.0989)
Er (0.9011, 0.2988, 0.7405)
Er (0.2595, 0.0989, 0.7012)
Er (0.7405, 0.9011, 0.2988)
Er (0.2988, 0.7405, 0.9011)
Er (0.0989, 0.7012, 0.2595)
Y (0.0000, 0.0000, 0.0000)



# 2
This record from the Alexandria database describes Pm3Y3Er5 after structural relaxation. The functional is PBE-GGA.

Output
energy relative to the elements = 785 meV/atom
final energy = -4.35 eV/atom
crystal system = hexagonal
DOS at the Fermi energy = 16.8 states/eV/f.u.

Cell lengths 5.6340, 9.6409, 9.6409 Å; angles 120.00, 90.00, 90.00 degrees
Fractional positions:
Y (0.5000, 0.0000, 0.2699)
Y (0.5000, 0.7301, 0.7301)
Y (0.5000, 0.2699, 0.0000)
Pm (0.0000, 0.4699, 0.0000)
Pm (0.0000, 0.5301, 0.5301)
Pm (0.0000, 0.0000, 0.4699)
Er (0.5000, 0.6263, 0.0000)
Er (0.5000, 0.3333, 0.6667)
Er (0.5000, 0.0000, 0.6263)
Er (0.5000, 0.3737, 0.3737)
Er (0.5000, 0.6667, 0.3333)



What did the first record say?